I planned just to comment on a Facebook sharing of this article but it kind of grew bigger than that.
This is the article I refer to.
Right from the start:
"It seems we’re entering another of those stupid seasons humans impose on themselves at fairly regular intervals."
Let's be straight away clear that the masses, the "mob" are to be blamed, as they are generally stupid and restless!
In my view it has always been some ruling class or elite who, driven by greed for more power, led the masses (their tribe or their countrymen) into disasters.
**Inserted here: data records:**
********
Entry from the Materials Project: Zr6Nb2O17 after structural relaxation (GGA-PBE).

Summary:
Volume, Å³ per atom: 11.21
SG: C2
DFT formation energy, eV per atom: -3.5561

Unit cell a=21.1816 b=21.1816 c=5.0321 alpha=96.06 beta=96.06 gamma=14.46
Positions (direct):
Zr: 0.0000 0.0000 0.0000
Zr: 0.0198 0.4810 0.2609
Zr: 0.1528 0.5891 0.3900
Zr: 0.1598 0.4575 0.8016
Zr: 0.4109 0.8472 0.6100
Zr: 0.5028 0.4972 0.5000
Zr: 0.5190 0.9802 0.7391
Zr: 0.5425 0.8402 0.1984
Zr: 0.6495 0.0936 0.8621
Zr: 0.7927 0.0749 0.4574
Zr: 0.9064 0.3505 0.1379
Zr: 0.9251 0.2073 0.5426
Nb: 0.0368 0.3415 0.6629
Nb: 0.2914 0.5754 0.9174
Nb: 0.4246 0.7086 0.0826
Nb: 0.6585 0.9632 0.3371
O: 0.0699 0.2157 0.7908
O: 0.0961 0.7328 0.2128
O: 0.1179 0.8084 0.6988
O: 0.1639 0.0299 0.2949
O: 0.1637 0.3492 0.8909
O: 0.1916 0.8821 0.3012
O: 0.2311 0.0886 0.3554
O: 0.2656 0.1746 0.4219
O: 0.2672 0.9039 0.7872
O: 0.2898 0.4220 0.0239
O: 0.3029 0.6431 0.1677
O: 0.3509 0.2115 0.4732
O: 0.3569 0.6971 0.8323
O: 0.3815 0.0149 0.8347
O: 0.4206 0.2604 0.5480
O: 0.4548 0.3515 0.6091
O: 0.5161 0.0880 0.9844
O: 0.5780 0.7102 0.9761
O: 0.5857 0.2460 0.0951
O: 0.6072 0.3192 0.7404
O: 0.6485 0.5452 0.3909
O: 0.6508 0.8363 0.1091
O: 0.6808 0.3928 0.2596
O: 0.7396 0.5794 0.4520
O: 0.7540 0.4143 0.9049
O: 0.7843 0.9301 0.2092
O: 0.7885 0.6491 0.5268
O: 0.8013 0.1503 0.2853
O: 0.8254 0.7344 0.5781
O: 0.8497 0.1987 0.7147
O: 0.9114 0.7689 0.6446
O: 0.9120 0.4839 0.0156
O: 0.9701 0.8361 0.7051
O: 0.9851 0.6185 0.1653

Entry from the Materials Project: NaPHO3 after structural relaxation (GGA-PBE).

Summary:
Polymorph energy (0 for the lowest one), eV per atom: 0.000
Volume, Å³ per atom: 15.75
SG: P2_1/c
DFT formation energy, eV per atom: -1.7674

Unit cell a=6.1772 b=12.4403 c=9.8426 alpha=90.00 beta=91.75 gamma=90.00
Positions (direct):
Na: 0.0588 0.1278 0.4503
Na: 0.0588 0.3722 0.9503
Na: 0.3061 0.0752 0.0246
Na: 0.3061 0.4248 0.5246
Na: 0.6939 0.5752 0.4754
Na: 0.6939 0.9248 0.9754
Na: 0.9412 0.6278 0.0497
Na: 0.9412 0.8722 0.5497
P: 0.4008 0.0036 0.6852
P: 0.4008 0.4964 0.1852
P: 0.4567 0.6813 0.9934
P: 0.4567 0.8187 0.4934
P: 0.5433 0.1813 0.5066
P: 0.5433 0.3187 0.0066
P: 0.5992 0.5036 0.8148
P: 0.5992 0.9964 0.3148
H: 0.0494 0.1870 0.1946
H: 0.0494 0.3130 0.6946
H: 0.0612 0.5901 0.6283
H: 0.0612 0.9099 0.1283
H: 0.9388 0.0901 0.8717
H: 0.9388 0.4099 0.3717
H: 0.9506 0.6870 0.3054
H: 0.9506 0.8130 0.8054
O: 0.1765 0.0136 0.6241
O: 0.1765 0.4864 0.1241
O: 0.2379 0.7293 0.0091
O: 0.2379 0.7707 0.5091
O: 0.3441 0.2503 0.0167
O: 0.3441 0.2497 0.5167
O: 0.4328 0.5050 0.3367
O: 0.4328 0.9950 0.8367
O: 0.4413 0.6001 0.8626
O: 0.4413 0.8999 0.3626
O: 0.4754 0.0993 0.3803
O: 0.4754 0.4007 0.8803
O: 0.5246 0.5993 0.1197
O: 0.5246 0.9007 0.6197
O: 0.5587 0.1001 0.6374
O: 0.5587 0.3999 0.1374
O: 0.5672 0.0050 0.1633
O: 0.5672 0.4950 0.6633
O: 0.6559 0.7503 0.4833
O: 0.6559 0.7497 0.9833
O: 0.7621 0.2293 0.4909
O: 0.7621 0.2707 0.9909
O: 0.8235 0.5136 0.8759
O: 0.8235 0.9864 0.3759
********
This article takes populism and the rise of charismatic dictators as the origo from which would spring the first step towards a catastrophic outcome. It fails to point out that the mob in general was always oppressed and/or economically ruined for quite a few years, or decades before they got to a level of frustration that is ripe for charismatic leaders to "herd them".
This article takes populism and the rise of charismatic dictators as the origo from which would spring the first step towards a catastrophic outcome. It fails to point out that the mob in general was always oppressed and/or economically ruined for quite a few years, or decades before they got to a level of frustration that is ripe for charismatic leaders to "herd them".
So who is to blame first? Our way of life has been based on different forms of colonialism and slavery for centuries now, and whenever some democratic and liberal country secured a prosperous and peaceful environment for their citizens ten times as many people suffered the consequences in remote lands. Now it is collapsing on us: the people from those lands are migrating and thus creating competition for the "white guys" for jobs that has been more and more scarce anyway as they'd been outsourced to countries with low taxes, no regulations, and dirt-cheap labour. Double slam: those white guys are competing with each other for quite a while as "The Polish Plumber" is worth a whole page in The Hitchhiker's Guide to the Galaxy by now...
So again: who is to blame? The frustrated prole or the stockholder of some multinational corporation?
Mentioning Mugabe as an obvious point? Blaming the mob for killing the minority "who happened to know how to run farms" and that led to starvation? Is it that simple? Is it not worth looking for many examples in former colonies where the natives took the power back but the money was gone overnight with the fleeing "masters", sometimes even ruining the infrastructure in the last moment so that the World would see the new African nations as mere barbarians who were much better off under (white) control? Yes, Mugabe is a dictator but again: what were the precedents before his rising to power?
"Brexit — a group of angry people winning a fight — easily inspires other groups of angry people to start a similar fight, empowered with the idea that they may win. That alone can trigger chain reactions." Yes, I agree, and I agree that we shouldn't speak about Brexit without mentioning Le Pen and Trump or even Putin, but again: it is happening already and maybe our "Archduke Ferdinand moment" will be determined in later history books as some event we have passed already. The question is how will we regard a Third World War in retrospect. It may be a blitzkrieg (especially with nukes) or it may well be a very long process in which case the Arab Spring can be included already. The Russian scenario is just another version, I have the feeling the author is a pro-EU liberal so it is quite obvious he puts forward an option to blame Putin.
The EU can break up with rising populism in France, Italy and other countries, and even the NATO can go into fractions, and it can all lead into an Orwellian status quo, just a bit different borders between Oceania and Eurasia. That is just one option, creating even bigger superstates like a cancer spreading even more rapidly in the last stages before it kills the host entirely.
"What can we do? Well, again, looking back, probably not much. The liberal intellectuals are always in the minority."
[Records of crystals that have nothing to do with the article]
(1)
Entry from the Materials Project database: K3Bi after structural relaxation (PBE).

Results
* space-group type: Fm-3m (225)
* ΔH_f (0 K): -7.907 kcal/mol of atoms
* density: 3.263 Mg/m³
* offset from the most stable computed form: 22.2 meV/atom

a = 8.725 Å, b = 8.725 Å, c = 8.725 Å
α = 90.00°, β = 90.00°, γ = 90.00°
Fractional positions:
K: 0.000 0.000 0.000
K: 0.000 0.500 0.500
K: 0.250 0.250 0.250
K: 0.250 0.250 0.750
K: 0.250 0.750 0.250
K: 0.250 0.750 0.750
K: 0.500 0.000 0.500
K: 0.500 0.500 0.000
K: 0.750 0.250 0.250
K: 0.750 0.250 0.750
K: 0.750 0.750 0.250
K: 0.750 0.750 0.750
Bi: 0.000 0.000 0.500
Bi: 0.000 0.500 0.000
Bi: 0.500 0.000 0.000
Bi: 0.500 0.500 0.500

(2)
Entry from the Materials Project database: KLaTbBiO6 after structural relaxation (PBE).

Results
* space-group type: Pnnn (48)
* total moment: 0.0 μB/cell
* ΔH_f (0 K): -61.887 kcal/mol of atoms
* density: 6.795 Mg/m³
* offset from the most stable computed form: 0.0 meV/atom

a = 8.485 Å, b = 8.598 Å, c = 8.601 Å
α = 90.00°, β = 90.00°, γ = 90.00°
Fractional positions:
K: 0.250 0.250 0.250
K: 0.250 0.750 0.750
K: 0.750 0.250 0.250
K: 0.750 0.750 0.750
La: 0.250 0.250 0.750
La: 0.250 0.750 0.250
La: 0.750 0.250 0.750
La: 0.750 0.750 0.250
Tb: 0.000 0.000 0.000
Tb: 0.000 0.500 0.500
Tb: 0.500 0.000 0.500
Tb: 0.500 0.500 0.000
Bi: 0.000 0.000 0.500
Bi: 0.000 0.500 0.000
Bi: 0.500 0.000 0.000
Bi: 0.500 0.500 0.500
O: 0.032 0.244 0.561
O: 0.032 0.256 0.939
O: 0.043 0.011 0.257
O: 0.043 0.489 0.243
O: 0.243 0.540 0.975
O: 0.243 0.960 0.525
O: 0.257 0.540 0.525
O: 0.257 0.960 0.975
O: 0.457 0.011 0.243
O: 0.457 0.489 0.257
O: 0.468 0.244 0.939
O: 0.468 0.256 0.561
O: 0.532 0.744 0.439
O: 0.532 0.756 0.061
O: 0.543 0.511 0.743
O: 0.543 0.989 0.757
O: 0.743 0.040 0.025
O: 0.743 0.460 0.475
O: 0.757 0.040 0.475
O: 0.757 0.460 0.025
O: 0.957 0.511 0.757
O: 0.957 0.989 0.743
O: 0.968 0.744 0.061
O: 0.968 0.756 0.439

(3)
Entry from the Materials Project database: KLaTbBiO6 after structural relaxation (PBE).

Results
* space-group type: F-43m (216)
* total moment: 0.0 μB/cell
* ΔH_f (0 K): -59.290 kcal/mol of atoms
* density: 6.694 Mg/m³
* offset from the most stable computed form: 112.6 meV/atom

a = 6.084 Å, b = 6.084 Å, c = 6.084 Å
α = 60.00°, β = 60.00°, γ = 60.00°
Fractional positions:
K: 0.000 0.000 0.000
La: 0.500 0.500 0.500
Tb: 0.750 0.750 0.750
Bi: 0.250 0.250 0.250
O: 0.006 0.006 0.494
O: 0.006 0.494 0.006
O: 0.006 0.494 0.494
O: 0.494 0.006 0.006
O: 0.494 0.006 0.494
O: 0.494 0.494 0.006

* * * * *

Entry 1:
AlCo3Si3O12, relaxed, DFT PBE with a Hubbard U; symmetry = Ia-3, No. 206; total magnetization = 12.00 μB/f.u.; V = 9.9 Å³/atom; calculated formation energy = -2.1934 eV per atom
1.0
-5.724 5.724 5.724
5.724 -5.724 5.724
5.724 5.724 -5.724
Al Co Si O
4 12 12 48
Cartesian
0.000 0.000 0.000 Al
5.724 0.000 0.000 Al
0.000 5.724 0.000 Al
0.000 0.000 5.724 Al
5.724 2.862 -1.551 Co
2.862 1.551 0.000 Co
1.551 0.000 2.862 Co
7.275 0.000 2.862 Co
2.862 -1.551 5.724 Co
Yes, this is the last stronghold of the liberal intellectual: meekly resign and go into a huff that when the shit hits the fan they can say they'd been right all the way but nobody listened. Putting themselves always into the minority and protecting another minority by keeping quiet about them is as dangerous as any obvious populist movement and dictator. Even more dangerous as those populist dictators are visible and loud enough to put on some resistance against them while those who are almost never mentioned in the mass media? Only when they throw some money into some humanitarian cause so that they could be labelled as "philanthropist" on Wikipedia?
**Here the article breaks off for data records:**
No. 1
# Ba2MoO3F4

Crystalline Ba2MoO3F4 at its relaxed geometry (PBE with a Hubbard U, Materials Project).

Results
- M_tot: 0.0000 μB per atom
- Energy relative to the elements: -315.2 kJ/mol of atoms
- VASP energy: -6.27 eV per atom
- Space-group type: Cc, No. 9

a b c (Å): 7.5378 7.5378 7.3096
angles (deg): 63.07 63.07 78.89
Fractional coordinates of all 20 atoms:
Ba 0.5587 0.3234 0.1789
Ba 0.3234 0.5587 0.6789
Ba 0.3232 0.9719 0.0064
Ba 0.9719 0.3232 0.5064
Mo 0.7945 0.8543 0.1218
Mo 0.8543 0.7945 0.6218
O 0.9084 0.0891 0.9997
O 0.0891 0.9084 0.4997
O 0.5444 0.9036 0.2818
O 0.9036 0.5444 0.7818
O 0.8733 0.7483 0.3810
O 0.7483 0.8733 0.8810
F 0.2943 0.5926 0.3010
F 0.5926 0.2943 0.8010
F 0.5424 0.7200 0.7816
F 0.7200 0.5424 0.2816
F 0.7410 0.0758 0.4782
F 0.0758 0.7410 0.9782
F 0.2216 0.2978 0.1232
F 0.2978 0.2216 0.6232

No. 2
# K3V3O8

Crystalline K3V3O8 at its relaxed geometry (PBE with a Hubbard U, Materials Project).

Results
- Energy relative to the elements: -234.8 kJ/mol of atoms
- VASP energy: -6.69 eV per atom

a b c (Å): 5.7555 9.5026 9.5026
angles (deg): 63.27 72.37 72.37
Fractional coordinates of all 28 atoms:
K 0.0000 0.0000 0.0000
K 0.5000 0.5000 0.5000
K 0.8457 0.4876 0.8210
K 0.3457 0.9876 0.3210
K 0.1543 0.5124 0.1790
K 0.6543 0.0124 0.6790
V 0.2500 0.7500 0.7500
V 0.7500 0.2500 0.2500
V 0.6302 0.7031 0.0364
V 0.1302 0.2031 0.5364
V 0.3698 0.2969 0.9636
V 0.8698 0.7969 0.4636
O 0.5190 0.8143 0.1476
O 0.0190 0.3143 0.6476
O 0.4810 0.1857 0.8524
O 0.9810 0.6857 0.3524
O 0.5800 0.2534 0.0868
O 0.0800 0.7534 0.5868
O 0.3299 0.5035 0.8367
O 0.8299 0.0035 0.3367
O 0.0798 0.2534 0.0868
O 0.5798 0.7534 0.5868
O 0.9202 0.7466 0.9132
O 0.4202 0.2466 0.4132
O 0.6701 0.4965 0.1633
O 0.1701 0.9965 0.6633
O 0.4200 0.7466 0.9132
O 0.9200 0.2466 0.4132

No. 3
# Li2MnVP3O12

Crystalline Li2MnVP3O12 at its relaxed geometry (PBE with a Hubbard U, Materials Project).

Results
- M_tot: 0.2632 μB per atom
- Energy relative to the elements: -249.5 kJ/mol of atoms
- Relative energy among the computed polymorphs: 13.5 meV/atom
- VASP energy: -7.12 eV per atom
- Space-group type: P-1, No. 2

a b c (Å): 9.2106 8.3371 8.2897
angles (deg): 60.88 61.90 91.99
Fractional coordinates of all 38 atoms:
Li 0.1395 0.7425 0.1783
Li 0.1260 0.0666 0.6089
Li 0.8740 0.9334 0.3911
Li 0.8605 0.2575 0.8217
Mn 0.5650 0.8493 0.2898
Mn 0.4350 0.1507 0.7102
V 0.0476 0.3540 0.2921
V 0.9524 0.6460 0.7079
P 0.2540 0.0455 0.2064
P 0.2423 0.4610 0.4975
P 0.2562 0.7514 0.7778
P 0.7438 0.2486 0.2222
P 0.7577 0.5390 0.5025
P 0.7460 0.9545 0.7936
O 0.0977 0.8390 0.3722
O 0.2705 0.1247 0.9854
O 0.1782 0.1718 0.2960
O 0.1918 0.4982 0.3278
O 0.0888 0.4756 0.6805
O 0.1199 0.7925 0.7127
O 0.4173 0.0279 0.2008
O 0.2462 0.2545 0.6121
O 0.4152 0.6172 0.3731
O 0.1861 0.5360 0.9801
O 0.2646 0.8846 0.8552
O 0.4327 0.7923 0.5854
O 0.5673 0.2077 0.4146
O 0.7354 0.1154 0.1448
O 0.8139 0.4640 0.0199
O 0.5848 0.3828 0.6269
O 0.7538 0.7455 0.3879
O 0.5827 0.9721 0.7992
O 0.8801 0.2075 0.2873
So which another minority do I mean? Well, let's call them simply "The Rich" as the top 1% doesn't sound very accurate. The ultra-rich with the power to force the signatures on legislations and trade agreements while seemingly they have nothing to do with politics, and certainly they got into their wealth legally and in accordance with our meritocratic western values. Blaming them would smell of communism and it's already made sure communism would be ever connected with dictatorship so there'd always be a natural resistance against changing our current form of capitalist system.
I agree communism in itself is utopistic and can never be achieved, and I also accept the value of private property. I just don't see the way out of this crisis without re-defining our economics towards a more regulated and balanced system that stops the rich getting richer just per se and the poor getting poorer in a result of a built in flaw that creates always competition and ever cheaper labour.
Take a look at our economics in the last 45 years since Pinochet's Chile and you might understand that we are living in a dictatorship ever since! The totalitarian dictatorship of banks and Corpocracy. Failing to mention this in an article that whines about the intellectuals being unable to find a common language with the proles is the last nail in our coffin.
By the way: I'm an "educated prole" keeping my finger on the pulse of intellectuals (friends and authors I follow) AND the proles as well, being a blue collar worker in Dublin, touching base with the people who keep coming here in hope of a "Promised Land" that never existed...